== Job ==
Find "-2.44810 -2.50386" and "-0.86957 3.26694" in the calculation results underneath, and retype these two lines and those between.

== Material ==
[1]
DFT (ωB97M-V/def2-TZVPD) results for C7H3Cl2InO2Se4 as an isolated structure.

ORCA input file:
```
! wB97M-V def2-TZVPD RIJCOSX def2/J DEFGRID3
* xyz 0 1
O 0.19573 -1.38632 -0.27968
C -0.74707 -0.50528 -0.03943
C -3.01191 1.22111 -0.28174
C -1.73359 1.75049 -0.59356
Cl -2.44810 -2.50386 0.94865
O 1.78391 1.12829 0.29366
H -4.22035 -0.45474 0.29737
Se 5.38178 -2.56724 1.08848
C -2.07014 -0.93688 0.28654
C -0.59690 0.95306 -0.30192
H -1.71413 2.77685 -0.91742
Se 5.82478 -0.30383 0.04290
In 2.11874 -0.89685 0.23877
Cl -4.44383 2.15818 -0.43458
C 0.64412 1.61487 -0.19929
H 0.70491 2.70276 -0.50355
Se 4.30277 -1.67449 -1.28646
C -3.19546 -0.10728 0.11505
Se 3.22475 -2.96885 1.52622
*
```

The calculation puts the energy at -11135.22431 Ha. As for the HOMO energy: -0.2424 Ha. The LUMO energy comes out at -2.32 eV.

[2]
DFT (ωB97M-V/def2-TZVPD) results for a 16-piece molecular cluster, C7H44FO18PS overall.

ORCA input file:
```
! wB97M-V def2-TZVPD RIJCOSX def2/J DEFGRID3
* xyz 0 1
H -3.03708 1.82213 -4.80993
H -1.51538 1.75813 -4.65487
H 2.29798 1.29194 1.67968
H -0.86957 3.26694 3.95383
O -2.98752 3.04899 1.77189
C -0.32504 1.40050 1.83044
H -3.98708 -0.10049 3.64496
H 0.21357 -0.43178 0.27255
O -0.36251 3.47502 -1.18074
H -2.41585 3.82566 1.77509
O -2.23998 1.50358 -5.24645
O -4.13234 -3.28076 2.60716
H -2.56810 0.43324 3.77071
H 1.99423 -3.48355 0.20876
H -1.97989 0.37866 1.37212
H 1.08162 1.56259 -1.20301
H -2.68943 -0.98683 5.99373
H -1.80896 1.68162 0.35486
H 5.05904 0.44580 0.77707
O 0.05292 2.69630 1.75401
H 3.60973 -3.94406 -1.13299
C 3.21591 -0.14216 0.02890
H -3.81752 -1.96058 5.73531
C 1.20930 3.00686 1.00222
H -4.27357 -2.95588 1.71904
H -3.17360 -2.03892 -0.37614
H 4.80175 0.86119 -0.82627
C 4.35114 0.82172 0.10903
H -3.61070 3.20431 2.49053
O -3.48574 0.66698 3.93868
O 4.39132 -4.43632 -1.41031
H 0.93367 -2.67727 -0.51629
H 2.33172 0.39492 -0.16357
H -2.58097 -0.59646 -5.04407
H 7.55353 -0.32909 0.27242
H -4.03002 -4.23241 2.50299
F -1.51064 -1.12753 -0.30040
S 3.88460 2.51817 0.47965
H 5.04691 -4.24010 -0.73297
H -0.42206 2.89814 -3.24725
O 6.98922 -1.02283 -0.08346
H 7.60093 -1.72938 -0.31597
H 1.35163 4.03171 1.13379
H 3.05247 -0.66171 0.91423
H -2.04684 -1.92573 -4.52897
O 6.49637 -2.42023 -2.98440
H 0.51806 3.11852 -4.43689
C -1.27649 0.92595 0.83764
O 1.88896 -2.80763 -0.47106
P 0.90637 2.88436 -0.80482
O -4.07765 -4.29276 -2.49824
H -4.25124 -3.95733 -3.38439
H 6.00614 -2.59336 -2.17478
O -3.54054 1.14323 -1.65847
H -3.46160 0.33273 -1.14490
H -4.48234 1.33700 -1.64994
O -3.54627 -1.25758 6.32998
O -0.87785 3.78960 4.76174
H 1.93923 3.59174 -1.38076
C 2.43857 2.32319 1.52518
H -0.58365 0.35708 -1.07345
H 5.89903 -2.71911 -3.67688
O -4.08095 -2.28172 -0.15883
O 0.22994 2.44738 -3.80859
H 3.32041 -0.81051 -0.75075
H -0.60826 3.17116 5.44772
O 0.02530 0.74906 2.66920
H 2.64582 2.73076 2.46116
C -0.68508 -0.05235 -0.11176
H -4.33577 -2.90212 -0.85360
H -3.97983 -5.24336 -2.60952
O -2.86329 -1.48367 -4.77687
*
```

The calculation puts the energy at -2486.77036 Ha. For the energy above the lowest of the compared OMol25 structures with the same formula, charge and spin, the calculation gives 1.010 eV. As for the HOMO energy: -0.3382 Ha. The LUMO energy comes out at -0.11 eV.

[3]
DFT (ωB97M-V/def2-TZVPD) results for one molecule with the formula C7H4N2O5S.

ORCA input file:
```
! wB97M-V def2-TZVPD RIJCOSX def2/J DEFGRID3
* xyz 0 1
C 0.38676 1.36330 0.15628
O 3.25420 -2.49516 -0.83767
N 3.74304 2.13410 -0.31134
O 3.52894 -2.13439 1.58742
C -0.75986 0.61544 -0.02899
H 0.32340 2.44017 0.20570
C 0.54362 -1.37912 0.05775
O 4.09703 -0.19362 0.07234
H 0.64778 -2.45201 0.01346
H -1.58196 -1.35954 -0.20168
S 3.17951 -1.65413 0.30265
C -0.69101 -0.76739 -0.07296
N 4.37919 1.13652 -0.67176
O 5.24717 1.04672 -1.45507
O 2.54173 2.52712 1.58699
C 2.69179 1.84007 0.62284
C 1.64992 0.76841 0.29149
C 1.68534 -0.62867 0.24890
H -1.71190 1.11466 -0.12337
*
```

== Response ==
Cl -2.44810 -2.50386 0.94865
O 1.78391 1.12829 0.29366
H -4.22035 -0.45474 0.29737
Se 5.38178 -2.56724 1.08848
C -2.07014 -0.93688 0.28654
C -0.59690 0.95306 -0.30192
H -1.71413 2.77685 -0.91742
Se 5.82478 -0.30383 0.04290
In 2.11874 -0.89685 0.23877
Cl -4.44383 2.15818 -0.43458
C 0.64412 1.61487 -0.19929
H 0.70491 2.70276 -0.50355
Se 4.30277 -1.67449 -1.28646
C -3.19546 -0.10728 0.11505
Se 3.22475 -2.96885 1.52622
*
```

The calculation puts the energy at -11135.22431 Ha. As for the HOMO energy: -0.2424 Ha. The LUMO energy comes out at -2.32 eV.

[2]
DFT (ωB97M-V/def2-TZVPD) results for a 16-piece molecular cluster, C7H44FO18PS overall.

ORCA input file:
```
! wB97M-V def2-TZVPD RIJCOSX def2/J DEFGRID3
* xyz 0 1
H -3.03708 1.82213 -4.80993
H -1.51538 1.75813 -4.65487
H 2.29798 1.29194 1.67968
H -0.86957 3.26694 3.95383